EDD Aug 2011


Congratz ...

Dear mummies and daddies.

This is my first post as I have been a silent reader for the past 5 months. I just want to share my joy with all on the birth of my daughter, my second kid on 24Aug11 at TMC. My wife is originally due on 12Sep11 but we opted 37weeks and 2days for her to come out to the world via c-sect at the advice of the gynae due to low-lying placenta. Fortunately everything went through smoothly without any complications.



Dear mummies and daddies.

This is my first post as I have been a silent reader for the past 5 months. I just want to share my joy with all on the birth of my daughter, my second kid on 24Aug11 at TMC. My wife is originally due on 12Sep11 but we opted 37weeks and 2days for her to come out to the world via c-sect at the advice of the gynae due to low-lying placenta. Fortunately everything went through smoothly without any complications.

Congratz Reindeer. Have a good rest and take care . :)


Piggyhui so fast Yao LAN? U kno when I give pacifier in the public I felt so guilty. Like am doing a no no thing. Yar.. My Bb also dun like the playpen so sleeping with mil, he still have a very strong tendency to look for my nipples. The mouth keeps opening looking for nipples and u dun give him he wun stop. Give pacifier also spilt out when he really gt fustrated. Now I really confuse.. Latch on once a day or not... Difficult to make him separate from nipples too.
Ya he slp yao lan in e living during mrn. So if he cry mother in law can hear from kitchen.
Eh my baby doesnt like pacifier. He onli open his mouth to look for nipples when he hungry.
I try to let him latch on now onve a day. Den e rest i pump out. Cause after he latch on. Nipples pain.


Dear mummies and daddies.

This is my first post as I have been a silent reader for the past 5 months. I just want to share my joy with all on the birth of my daughter, my second kid on 24Aug11 at Thomson Medical Center. My wife is originally due on 12Sep11 but we opted 37weeks and 2days for her to come out to the world via c-sect at the advice of the gynae due to low-lying placenta. Fortunately everything went through smoothly without any complications.

CongratZ reindeer =]


Ya he slp yao lan in e living during mrn. So if he cry mother in law can hear from kitchen.
Eh my baby doesnt like pacifier. He onli open his mouth to look for nipples when he hungry.
I try to let him latch on now onve a day. Den e rest i pump out. Cause after he latch on. Nipples pain.
Oh ok.. We dun use Yao LAN but I think mil have this in mind. Sometimes I wonder if I dun need her help and employ confinement lady will things be better? Jus got scolded for wearing long pants :( dun kno why today the remark came so harsh and not I eat little but I feed myself more often but smaller quantity each time. Like this also not happy. :( I am so obese into expressing milk I woke up every 4 hours. I am pretty tired dun wish to feel sad anymore. Even the relatives that visit me ask me why "wrap" myself till like this I say... Hmm *just smile lor. Mil will tell "is like this, comfinement" btw u gers take Dom? How u take since expressing milk, I can't stop mil persuasion anymore she very very fan already... Can help me, any solution?


Purpeace, your daughter is how many days old?
Hi, My gal is 9 days old today.
Unfortunately, my gal had got high jaundice level and was only discovered yesterday during check up, gotta be admitted for at least 2 days. Now have to express milk n deliver to hospital for her. So sad n busy... My milk supply has since dropped probably due to stress and baby not latching on. Thought I can have total bf for her benefit, now my gal gotta tk formula to supplement cos my supply is not enough to last her hospital stay. Sob! :(


Hi, My gal is 9 days old today.
Unfortunately, my gal had got high jaundice level and was only discovered yesterday during check up, gotta be admitted for at least 2 days. Now have to express milk n deliver to hospital for her. So sad n busy... My milk supply has since dropped probably due to stress and baby not latching on. Thought I can have total bf for her benefit, now my gal gotta tk formula to supplement cos my supply is not enough to last her hospital stay. Sob! :(
Dun be so sad.. my supply also not enough for my baby.. I just mix with formula.. initially I also sad... but got to think that last time we also drink formula.. there is nothing wrong with that. Dun be so sad.. cheer up.. :)


Hi, My gal is 9 days old today.
Unfortunately, my gal had got high jaundice level and was only discovered yesterday during check up, gotta be admitted for at least 2 days. Now have to express milk n deliver to hospital for her. So sad n busy... My milk supply has since dropped probably due to stress and baby not latching on. Thought I can have total bf for her benefit, now my gal gotta tk formula to supplement cos my supply is not enough to last her hospital stay. Sob! :(
My boy got jaundice earlier as well but becos dr ask me do not insist on Bf if not enough if not the jaundice level will go even higher. So I give formula to help lor. To mummies out there Bf is good but cannot insist lar :( I used to be low supply. 20 ml both side. Now so happy.. Thank to
U guys advise I manage to get 4 oZ :) Bb jaundice also controlled. Purpeace dun worry mainly is to cure his jaundice after that can still work on Bf.. Dun think too much :) is ok...


Oh ok.. We dun use Yao LAN but I think mil have this in mind. Sometimes I wonder if I dun need her help and employ confinement lady will things be better? Jus got scolded for wearing long pants :( dun kno why today the remark came so harsh and not I eat little but I feed myself more often but smaller quantity each time. Like this also not happy. :( I am so obese into expressing milk I woke up every 4 hours. I am pretty tired dun wish to feel sad anymore. Even the relatives that visit me ask me why "wrap" myself till like this I say... Hmm *just smile lor. Mil will tell "is like this, comfinement" btw u gers take Dom? How u take since expressing milk, I can't stop mil persuasion anymore she very very fan already... Can help me, any solution?
Jovin, I'm same as u. My mil seems like want the Yao Lan.. but we dun want baby used to it.. so we dun wanna buy.. if not bring baby out, baby too used to Yao Lan... very troublesome.. I take DOM every nite..after i pump out milk.. one small cup only. U drink how much DOM?


My milk is only 20 ml upon expressing... MIL keep asking wwh so little only.. "no milk arh".... "no milk arh" I felt so depress. so i tot her... after this feed of 20 ml, better than nothing mah.. regularity makes a diff right? then after that no enough give formula lor.. i also give in to formula and pacificer.. wat else more.. i feel so bad not able to produce enough. I think tml i will ask the lactation... i am already not enought sleep due night duty and day pump milk... she monitor watever medication i took... i pass her to take care becos I need to sleep... if not... i wont give up... but anyway.. BF... I am really trying very hard... it's already sore and blistered...
Hi Jovin,

we had experience the same thing, for me its only the 7th day after birth..according to research, only the 10th day then have the milk, 4-6 is transition milk whereby its yellowish..I had only 15ml at first..after that felt pain and sore with my breast, gynae said its blockage, need to press and massage very hard then milk will flow..now got 60ml of milk supply
At first i thought if pump more then milk will flow more, so i very hardworking and pump at night, but end up only 30ml..so my conclusion is : if you felt your breast is heavy/pain/uncomfortable, thant means milk is block inside, must pump out..

i also night shift now, my girl drink 3 hour per night,(with formula milk) if breast milk its 2 hours per night coz its diluted..and my girl slept very well in the day and slept very little at night, she is also big eater, so i got no choice but to feed her formula milk first..

Dun stress yourself too much, the most impt is you rest well and keep yourself healthy..
Now step is:
1)Always latch on first( i latch on till i felt pain then i switch breast)
2) breastmilk with bottle (coz breastmilk drink more its ok 1, alot of water content, my PD say if u want more milk then you got to drink more fluid)

1)Always latch on first( i latch on till i felt pain then i switch breast, and i wanna have the bonding)
2)Formula milk(Nan 1 pro-heard that its close to mother's breastmilk)

P/s: though ppl say papaya fish soup is good, but my girl got slight jaundice, papaya might coz jaundice too..

Take care and lets keep on perserverse mummies:)


Hi gers, are all ur NB sleeping with u at night? Dun kno why my son dun really like staying in my rm. Been in mil room for the past 4 days.. Day I go over see him night he still sleeps there. Is this ok? I tot give me another week or 2 to continue rest before I try to learn taking care :( will the separation be ok?
I slept with my girl, thought its tiring but no choice, coz i try not to let my MIL interfere my infantcare, thank God my MIL is understanding, she also dare not come in during the night coz my hubby will say her..Like many of the other MIL , my MIL also wanna use pacificer during, but i educate her by telling her:Mama, lets try not to use pacificer first, maybe the bb is insured as the bb is just few days out of my tummy, need to listen mummu heartbeat and the warmth. etc etc..Actually i also scare that my MIL is those old fashion type, using those old old method, so before deliver we wnet to library and borrow alot of infantcare book(mag), its really helps as she reallt benefits from there..i also be firm and confident and let her know that i always had my logical reason for what i done..I am also a pre school teacher too, so will assure her i am professional person, blah, blah..

I just maybe your MIL wants you to rest well during confinement, if you wanna worried about the separation, maybe u can use latch on as an excuse to let your bb slp in your room..i latch on as and when my bb is hungry, so my bb now auto, when hungry knows how to find my breast, and i am also quick and using the correct latch on already.. Jia you!!


Oh ok.. We dun use Yao LAN but I think mil have this in mind. Sometimes I wonder if I dun need her help and employ confinement lady will things be better? Jus got scolded for wearing long pants :( dun kno why today the remark came so harsh and not I eat little but I feed myself more often but smaller quantity each time. Like this also not happy. :( I am so obese into expressing milk I woke up every 4 hours. I am pretty tired dun wish to feel sad anymore. Even the relatives that visit me ask me why "wrap" myself till like this I say... Hmm *just smile lor. Mil will tell "is like this, comfinement" btw u gers take Dom? How u take since expressing milk, I can't stop mil persuasion anymore she very very fan already... Can help me, any solution?
I do take DOM and breast feed too...
Dun be upset, cheer up...u need to rest more wor..

Dunno y these two night my baby dun wanna slp on his own in baby cord. And he wants us to carry him.
Once we put him on e bed he will cry immediately. Dunno if he sick or he jus seeking for us to carry him.
Usually he's not like that.... So tired.


Dear mummies and daddies.

This is my first post as I have been a silent reader for the past 5 months. I just want to share my joy with all on the birth of my daughter, my second kid on 24Aug11 at TMC. My wife is originally due on 12Sep11 but we opted 37weeks and 2days for her to come out to the world via c-sect at the advice of the gynae due to low-lying placenta. Fortunately everything went through smoothly without any complications.

Congrats, my girl was born @ TMC, birthday was 22/8/2011..2 days before yours.. Welcome to parenthood:0


Oh ok.. We dun use Yao LAN but I think mil have this in mind. Sometimes I wonder if I dun need her help and employ confinement lady will things be better? Jus got scolded for wearing long pants :( dun kno why today the remark came so harsh and not I eat little but I feed myself more often but smaller quantity each time. Like this also not happy. :( I am so obese into expressing milk I woke up every 4 hours. I am pretty tired dun wish to feel sad anymore. Even the relatives that visit me ask me why "wrap" myself till like this I say... Hmm *just smile lor. Mil will tell "is like this, comfinement" btw u gers take Dom? How u take since expressing milk, I can't stop mil persuasion anymore she very very fan already... Can help me, any solution?
my MIL also say DOM is good, but i dare not take alcohol..will try.. my parent craft teacher say if drink wine must wait till 2-3 hours then can breast feed..


I do take DOM and breast feed too...
Dun be upset, cheer up...u need to rest more wor..

-- Data records, as found in the file --
DFT (PBE with a Hubbard U) results for crystalline YCuMo2O8 at its relaxed geometry.

POSCAR file:
```
YCuMo2O8
1.0
9.883 0.000 0.000
0.000 14.726 0.000
0.000 0.000 10.303
Y Cu Mo O
8 8 16 64
Direct
0.222 0.104 0.034
0.222 0.396 0.534
0.278 0.604 0.034
0.278 0.896 0.534
0.722 0.104 0.466
0.722 0.396 0.966
0.778 0.604 0.466
0.778 0.896 0.966
0.189 0.196 0.682
0.189 0.304 0.182
0.311 0.696 0.682
0.311 0.804 0.182
0.689 0.196 0.818
0.689 0.304 0.318
0.811 0.696 0.818
0.811 0.804 0.318
0.000 0.056 0.719
0.000 0.444 0.219
0.000 0.556 0.781
0.000 0.944 0.281
0.168 0.653 0.397
0.168 0.847 0.897
0.332 0.153 0.397
0.332 0.347 0.897
0.500 0.056 0.781
0.500 0.444 0.281
0.500 0.556 0.719
0.500 0.944 0.219
0.668 0.653 0.103
0.668 0.847 0.603
0.832 0.153 0.103
0.832 0.347 0.603
0.010 0.168 0.087
0.010 0.332 0.587
0.097 0.524 0.129
0.097 0.976 0.629
0.104 0.624 0.887
0.104 0.876 0.387
0.109 0.002 0.171
0.109 0.132 0.820
0.109 0.368 0.320
0.109 0.498 0.671
0.208 0.537 0.426
0.208 0.963 0.926
0.224 0.681 0.233
0.224 0.819 0.733
0.243 0.228 0.511
0.243 0.272 0.011
0.257 0.728 0.511
0.257 0.772 0.011
0.276 0.181 0.233
0.276 0.319 0.733
0.292 0.037 0.426
0.292 0.463 0.926
0.391 0.502 0.171
0.391 0.632 0.820
0.391 0.868 0.320
0.391 0.998 0.671
0.396 0.124 0.887
0.396 0.376 0.387
0.403 0.024 0.129
0.403 0.476 0.629
0.490 0.668 0.087
0.490 0.832 0.587
0.510 0.168 0.413
0.510 0.332 0.913
0.597 0.524 0.371
0.597 0.976 0.871
0.604 0.624 0.613
0.604 0.876 0.113
0.609 0.002 0.329
0.609 0.132 0.680
0.609 0.368 0.180
0.609 0.498 0.829
0.708 0.537 0.074
0.708 0.963 0.574
0.724 0.681 0.267
0.724 0.819 0.767
0.743 0.228 0.989
0.743 0.272 0.489
0.757 0.728 0.989
0.757 0.772 0.489
0.776 0.181 0.267
0.776 0.319 0.767
0.792 0.037 0.074
0.792 0.463 0.574
0.891 0.502 0.329
0.891 0.632 0.680
0.891 0.868 0.180
0.891 0.998 0.829
0.896 0.124 0.613
0.896 0.376 0.113
0.903 0.024 0.371
0.903 0.476 0.871
0.990 0.668 0.413
0.990 0.832 0.913
```

## Properties
SG: Pbca (61)
V: 15.6 Å³/atom
Total energy after the MP2020 corrections: -8.257 eV per atom
Formation enthalpy at 0 K: -2270 meV per atom



DFT (PBE with a Hubbard U) results for crystalline ZnCu2Mo2O8 at its relaxed geometry.

POSCAR file:
```
ZnCu2Mo2O8
1.0
6.597 0.000 0.000
0.000 8.710 0.000
-0.381 0.000 12.628
Zn Cu Mo O
4 8 8 32
Direct
0.108 0.165 0.053
0.108 0.335 0.553
0.892 0.665 0.447
0.892 0.835 0.947
0.231 0.680 0.633
0.231 0.820 0.133
0.378 0.054 0.619
0.378 0.446 0.119
0.622 0.554 0.881
0.622 0.946 0.381
0.769 0.180 0.867
0.769 0.320 0.367
0.099 0.043 0.346
0.099 0.457 0.846
0.389 0.582 0.369
0.389 0.918 0.869
0.611 0.082 0.131
0.611 0.418 0.631
0.901 0.543 0.154
0.901 0.957 0.654
0.040 0.233 0.401
0.040 0.267 0.901
0.084 0.103 0.613
0.084 0.397 0.113
0.121 0.043 0.203
0.121 0.457 0.703
0.179 0.576 0.465
0.179 0.924 0.965
0.306 0.630 0.235
0.306 0.870 0.735
0.341 0.513 0.900
0.341 0.987 0.400
0.406 0.210 0.086
0.406 0.290 0.586
0.495 0.104 0.864
0.495 0.396 0.364
0.505 0.604 0.636
0.505 0.896 0.136
0.594 0.710 0.414
-- The text goes on --

Dunno y these two night my baby dun wanna slp on his own in baby cord. And he wants us to carry him.
Once we put him on e bed he will cry immediately. Dunno if he sick or he jus seeking for us to carry him.
Usually he's not like that.... So tired.
My bb is like that since day 1 at home..i also dun know how, she also wants me to carry her..MIL say maybe aircon too cold, so tonight we will try to keep her very very warm and try whether she can sleep tonight...


Thanks jocelyn n Jovin for the encouragement.

My gal is discharged today.. But still have slight Jaundice.
When she is back and I try to latch her, she fell Asleep again very quickly so each time I can only latch like 10 min one side and let her sleep.. Then a while later she wakes up and wants milk again, am afraid she might not be getting enough milk drinking this way. Guess have to give her expressed milk when she is wide awake.

I also hv DOM, but baby jaundice, afraid will affect my breast milk so yet to drink. Prob will drink another week later.


Thanks jocelyn n Jovin for the encouragement.

My gal is discharged today.. But still have slight Jaundice.
When she is back and I try to latch her, she fell Asleep again very quickly so each time I can only latch like 10 min one side and let her sleep.. Then a while later she wakes up and wants milk again, am afraid she might not be getting enough milk drinking this way. Guess have to give her expressed milk when she is wide awake.

I also hv DOM, but baby jaundice, afraid will affect my breast milk so yet to drink. Prob will drink another week later.
Purpeace Congrats and rest well! Bb jaundice jus make sure she drinks enough. Dr taught me When drink enough it will be poo out. So dun worry she will be ok :D. For milk supply I still get about 4 oZ from both side. But I still feel is low. Good thing is Bb managed to latch on and drink which last for 2 hrs before next feed. But I latch on only once a day. Hope
I can try more to twice a day. But some days got visitors very hard. I do keep 2 bottles spare milk in fridge.. Thou I hope to have more :( I feel I am getting so obese.